### Given
- - -
No. 1
Cs12Br3F5 PBE optimized geometry; M_tot = 0.0 μB/f.u.; N(E_F) = 6.4 states/eV/f.u.; total energy = -237.76 eV for the cell shown
1.0
17.2959 0.0000 0.0000
-5.7653 16.3068 0.0000
-5.7653 -8.1534 14.1221
Cs Br F
48 12 20
direct
0.8163 0.9235 0.3034
0.8929 0.8163 0.5130
0.4235 0.1201 0.6071
0.6071 0.9870 0.6837
0.3799 0.3929 0.0765
0.0130 0.3929 0.8163
0.9235 0.1071 0.6201
0.8163 0.8929 0.0130
0.4870 0.6837 0.1071
0.4870 0.8034 0.8799
0.8034 0.3163 0.9235
0.5130 0.1966 0.1201
0.3163 0.8034 0.4235
0.6201 0.6071 0.9235
0.1201 0.4235 0.1071
0.6966 0.1201 0.0130
0.6837 0.1966 0.5765
0.1966 0.5130 0.6201
0.3929 0.3799 0.5765
0.3034 0.4235 0.8163
0.4235 0.3034 0.3163
0.8929 0.0765 0.8799
0.6837 0.4870 0.6071
0.0765 0.8929 0.3799
0.0765 0.1837 0.1966
0.5765 0.8799 0.3929
0.3034 0.8799 0.9870
0.9870 0.3799 0.3034
0.8799 0.5765 0.8929
0.1201 0.6966 0.5130
0.1071 0.9235 0.1201
0.0130 0.6201 0.6966
0.5130 0.3163 0.8929
0.1837 0.0765 0.6966
0.1071 0.1837 0.4870
0.9235 0.8163 0.8034
0.1837 0.1071 0.9870
0.8799 0.3034 0.4870
0.6201 0.0130 0.1966
0.6966 0.5765 0.1837
0.5765 0.6966 0.6837
0.3163 0.5130 0.3929
0.8034 0.4870 0.3799
0.6071 0.6201 0.4235
0.9870 0.6071 0.1837
0.3799 0.9870 0.8034
0.3929 0.0130 0.3163
0.1966 0.6837 0.0765
0.2500 0.1250 0.3750
0.6250 0.2500 0.3750
0.2500 0.6250 0.8750
0.3750 0.7500 0.6250
0.1250 0.8750 0.7500
0.7500 0.3750 0.1250
0.7500 0.8750 0.6250
0.8750 0.7500 0.1250
0.1250 0.2500 0.8750
0.6250 0.3750 0.7500
0.8750 0.1250 0.2500
0.3750 0.6250 0.2500
0.0000 0.5000 0.0000
0.6250 0.7500 0.8750
0.3750 0.1250 0.7500
0.5000 0.5000 0.5000
0.0000 0.0000 0.0000
0.2500 0.3750 0.6250
0.6250 0.8750 0.2500
0.8750 0.6250 0.7500
0.7500 0.6250 0.3750
0.1250 0.3750 0.2500
0.7500 0.1250 0.8750
0.5000 0.0000 0.5000
0.5000 0.5000 0.0000
0.0000 0.0000 0.5000
0.1250 0.7500 0.3750
0.3750 0.2500 0.1250
0.2500 0.8750 0.1250
0.0000 0.5000 0.5000
0.5000 0.0000 0.0000
0.8750 0.2500 0.6250


No. 2
CuSb2P PBE optimized geometry; M_tot = 0.0 μB/f.u.; N(E_F) = 2.3 states/eV/f.u.; total energy = -16.00 eV for the cell shown
1.0
3.3289 0.1829 0.0000
-0.9217 3.2040 0.0000
0.0000 0.0000 7.5431
Sb Cu P
2 1 1
direct
0.0000 0.0000 0.4878
0.0000 0.0000 0.0122
0.5000 0.5000 0.2500
0.5000 0.5000 0.7500


No. 3
DyNi2Ge4Ru PBE optimized geometry; M_tot = 0.0 μB/f.u.; N(E_F) = 6.3 states/eV/f.u.; formation energy = -0.336 eV/atom; total energy = -46.59 eV for the cell shown
1.0
4.0992 0.0000 0.0000
2.0496 3.5500 0.0000
2.0496 1.1833 8.7752
Ge Ni Dy Ru
4 2 1 1
direct
0.6022 0.6022 0.1934
0.3978 0.3978 0.8066
0.1264 0.1264 0.6209
0.8736 0.8736 0.3791
0.2345 0.2345 0.2966
0.7655 0.7655 0.7034
0.0000 0.0000 0.0000
0.5000 0.5000 0.5000


Which of these has the highest total energy?
CuSb2P


Which value of total energy does entry 1 give?
-237.76 eV for the cell shown
- - -

### Assignment
It remains to write out the whole of the lines above with every line break kept.

### Written answer
No. 1
Cs12Br3F5 PBE optimized geometry; M_tot = 0.0 μB/f.u.; N(E_F) = 6.4 states/eV/f.u.; total energy = -237.76 eV for the cell shown
1.0
17.2959 0.0000 0.0000
-5.7653 16.3068 0.0000
-5.7653 -8.1534 14.1221
Cs Br F
48 12 20
direct
0.8163 0.9235 0.3034
0.8929 0.8163 0.5130
0.4235 0.1201 0.6071
0.6071 0.9870 0.6837
0.3799 0.3929 0.0765
0.0130 0.3929 0.8163
0.9235 0.1071 0.6201
0.8163 0.8929 0.0130
0.4870 0.6837 0.1071
0.4870 0.8034 0.8799
0.8034 0.3163 0.9235
0.5130 0.1966 0.1201
0.3163 0.8034 0.4235
0.6201 0.6071 0.9235
0.1201 0.4235 0.1071
0.6966 0.1201 0.0130
0.6837 0.1966 0.5765
0.1966 0.5130 0.6201
0.3929 0.3799 0.5765
0.3034 0.4235 0.8163
0.4235 0.3034 0.3163
0.8929 0.0765 0.8799
0.6837 0.4870 0.6071
0.0765 0.8929 0.3799
0.0765 0.1837 0.1966
0.5765 0.8799 0.3929
0.3034 0.8799 0.9870
0.9870 0.3799 0.3034
0.8799 0.5765 0.8929
0.1201 0.6966 0.5130
0.1071 0.9235 0.1201
0.0130 0.6201 0.6966
0.5130 0.3163 0.8929
0.1837 0.0765 0.6966
0.1071 0.1837 0.4870
0.9235 0.8163 0.8034
0.1837 0.1071 0.9870
0.8799 0.3034 0.4870
0.6201 0.0130 0.1966
0.6966 0.5765 0.1837
0.5765 0.6966 0.6837
0.3163 0.5130 0.3929
0.8034 0.4870 0.3799
0.6071 0.6201 0.4235
0.9870 0.6071 0.1837
0.3799 0.9870 0.8034
0.3929 0.0130 0.3163
0.1966 0.6837 0.0765
0.2500 0.1250 0.3750
0.6250 0.2500 0.3750
0.2500 0.6250 0.8750
0.3750 0.7500 0.6250
0.1250 0.8750 0.7500
0.7500 0.3750 0.1250
0.7500 0.8750 0.6250
0.8750 0.7500 0.1250
0.1250 0.2500 0.8750
0.6250 0.3750 0.7500
0.8750 0.1250 0.2500
0.3750 0.6250 0.2500
0.0000 0.5000 0.0000
0.6250 0.7500 0.8750
0.3750 0.1250 0.7500
0.5000 0.5000 0.5000
0.0000 0.0000 0.0000
0.2500 0.3750 0.6250
0.6250 0.8750 0.2500
0.8750 0.6250 0.7500
0.7500 0.6250 0.3750
0.1250 0.3750 0.2500
0.7500 0.1250 0.8750
0.5000 0.0000 0.5000
0.5000 0.5000 0.0000
0.0000 0.0000 0.5000
0.1250 0.7500 0.3750
0.3750 0.2500 0.1250
0.2500 0.8750 0.1250
0.0000 0.5000 0.5000
0.5000 0.0000 0.0000
0.8750 0.2500 0.6250


No. 2
CuSb2P PBE optimized geometry; M_tot = 0.0 μB/f.u.; N(E_F) = 2.3 states/eV/f.u.; total energy = -16.00 eV for the cell shown
1.0
3.3289 0.1829 0.0000
-0.9217 3.2040 0.0000
0.0000 0.0000 7.5431
Sb Cu P
2 1 1
direct
0.0000 0.0000 0.4878
0.0000 0.0000 0.0122
0.5000 0.5000 0.2500
0.5000 0.5000 0.7500


No. 3
DyNi2Ge4Ru PBE optimized geometry; M_tot = 0.0 μB/f.u.; N(E_F) = 6.3 states/eV/f.u.; formation energy = -0.336 eV/atom; total energy = -46.59 eV for the cell shown
1.0
4.0992 0.0000 0.0000
2.0496 3.5500 0.0000
2.0496 1.1833 8.7752
Ge Ni Dy Ru
4 2 1 1
direct
0.6022 0.6022 0.1934
0.3978 0.3978 0.8066
0.1264 0.1264 0.6209
0.8736 0.8736 0.3791
0.2345 0.2345 0.2966
0.7655 0.7655 0.7034
0.0000 0.0000 0.0000
0.5000 0.5000 0.5000


Which of these has the highest total energy?
CuSb2P


Which value of total energy does entry 1 give?
-237.76 eV for the cell shown